What is needed: type out only the last part of the lines below, starting with the line that has "14.661 Å;".

~~~
Cs2CeO3: relaxed, PBE.

Values from the calculation:
The calculation puts the corrected total energy (MP2020 scheme) at -6.37 eV per atom. Its density is 4.50 g cm⁻³. The energy comes out at -6.03 eV per atom.

Cell lengths 6.896, 14.618, 7.483 Å; angles 90.00, 117.35, 90.00 degrees
Space group P2_1 (No. 4)
Symmetry-distinct sites (fractional):
Cs 0.124 0.000 0.244
Cs 0.195 0.550 0.390
Cs 0.307 0.281 0.605
Cs 0.370 0.834 0.751
Ce 0.010 0.758 0.022
Ce 0.490 0.077 0.977
O 0.092 0.363 0.184
O 0.166 0.786 0.322
O 0.225 0.668 0.953
O 0.269 0.168 0.038
O 0.347 0.048 0.680
O 0.410 0.473 0.818


Cs2CeO3: relaxed, PBE.

Values from the calculation:
The calculation puts the corrected total energy (MP2020 scheme) at -6.37 eV per atom. Its density is 4.50 g cm⁻³. The energy comes out at -6.03 eV per atom.

Cell lengths 6.896, 7.483, 14.618 Å; angles 90.04, 90.03, 117.35 degrees
Space group P1 (No. 1)
Symmetry-distinct sites (fractional):
Cs 0.000 0.000 0.000
Cs 0.064 0.142 0.449
Cs 0.176 0.361 0.715
Cs 0.248 0.504 0.167
Cs 0.494 0.995 0.666
Cs 0.567 0.143 0.215
Cs 0.677 0.356 0.947
Cs 0.744 0.501 0.501
Ce 0.360 0.729 0.924
Ce 0.381 0.772 0.423
Ce 0.862 0.730 0.744
Ce 0.880 0.774 0.243
O 0.027 0.075 0.216
O 0.103 0.711 0.331
O 0.145 0.798 0.834
O 0.204 0.429 0.951
O 0.282 0.574 0.530
O 0.462 0.935 0.028
O 0.530 0.073 0.451
O 0.598 0.706 0.334
O 0.639 0.788 0.833
O 0.717 0.430 0.714
O 0.784 0.576 0.136
O 0.960 0.933 0.638


Cs2CeO3: relaxed, PBE.

Values from the calculation:
The calculation puts the largest piezoelectric modulus at 1.07 C/m². The calculation puts the corrected total energy (MP2020 scheme) at -6.44 eV per atom. Its density is 5.05 g cm⁻³. The energy comes out at -6.09 eV per atom.

Cell lengths 11.662, 7.827, 6.546 Å; angles 90.00, 90.00, 90.00 degrees
Space group Cmc2_1 (No. 36)
Symmetry-distinct sites (fractional):
Cs 0.165 0.142 0.000
Ce 0.000 0.408 0.482
O 0.000 0.149 0.438
O 0.120 0.490 0.740


Cs2CeO3: relaxed, PBE.

Values from the calculation:
The calculation puts the corrected total energy (MP2020 scheme) at -6.37 eV per atom. Its density is 4.48 g cm⁻³. The energy comes out at -6.03 eV per atom.

Cell lengths 6.908, 13.299, 14.661 Å; angles 90.00, 90.00, 90.00 degrees
Space group Cmc2_1 (No. 36)
Symmetry-distinct sites (fractional):
Cs 0.000 0.120 0.000
Cs 0.000 0.194 0.552
Cs 0.000 0.302 0.282
Cs 0.000 0.376 0.838
Ce 0.000 0.010 0.760
Ce 0.000 0.488 0.080
O 0.000 0.093 0.364
O 0.000 0.161 0.787
O 0.000 0.340 0.051
O 0.000 0.409 0.476
O 0.249 0.024 0.171


CsCeP4O12: relaxed, PBE.

Values from the calculation:
The calculation puts the corrected total energy (MP2020 scheme) at -7.79 eV per atom. Its density is 3.24 g cm⁻³. The energy comes out at -7.33 eV per atom.

Cell lengths 7.297, 9.360, 8.955 Å; angles 90.00, 99.59, 90.00 degrees
Space group P2_1 (No. 4)
Symmetry-distinct sites (fractional):
Cs 0.173 0.000 0.175
Ce 0.297 0.166 0.697
P 0.145 0.540 0.542
P 0.194 0.590 0.227
P 0.418 0.389 0.073
P 0.440 0.774 0.624
O 0.007 0.133 0.818
O 0.041 0.111 0.492
O 0.163 0.405 0.634
O 0.222 0.506 0.388
O 0.228 0.461 0.115
O 0.288 0.652 0.634
O 0.344 0.700 0.233
O 0.351 0.918 0.593
O 0.359 0.316 0.925
O 0.423 0.220 0.470
O 0.426 0.996 0.908
O 0.458 0.265 0.200


CsCeS2: relaxed, PBE.

Values from the calculation:
The calculation puts the corrected total energy (MP2020 scheme) at -5.78 eV per atom. Its density is 4.38 g cm⁻³. The energy comes out at -5.53 eV per atom.

Cell lengths 4.2791, 4.2791, 24.1996 Å; angles 90.00, 90.00, 120.00 degrees
Space group R-3m (No. 166, hexagonal axes)
Symmetry-distinct sites (fractional):
Cs 0.0000 0.0000 0.0000
Ce 0.0000 0.0000 0.5000
S 0.0000 0.0000 0.2283


CeCu2: relaxed, PBE.

Values from the calculation:
Its density is 8.07 g cm⁻³. The energy comes out at -4.89 eV per atom.

Cell lengths 4.396, 6.643, 7.536 Å; angles 90.00, 90.00, 90.00 degrees
Space group Imma (No. 74)
Symmetry-distinct sites (fractional):
Ce 0.000 0.250 0.024
Cu 0.000 0.035 0.666


CeCu5: relaxed, PBE.
~~~

Cell lengths 6.908, 13.299, 14.661 Å; angles 90.00, 90.00, 90.00 degrees
Space group Cmc2_1 (No. 36)
Symmetry-distinct sites (fractional):
Cs 0.000 0.120 0.000
Cs 0.000 0.194 0.552
Cs 0.000 0.302 0.282
Cs 0.000 0.376 0.838
Ce 0.000 0.010 0.760
Ce 0.000 0.488 0.080
O 0.000 0.093 0.364
O 0.000 0.161 0.787
O 0.000 0.340 0.051
O 0.000 0.409 0.476
O 0.249 0.024 0.171


CsCeP4O12: relaxed, PBE.

Values from the calculation:
The calculation puts the corrected total energy (MP2020 scheme) at -7.79 eV per atom. Its density is 3.24 g cm⁻³. The energy comes out at -7.33 eV per atom.

Cell lengths 7.297, 9.360, 8.955 Å; angles 90.00, 99.59, 90.00 degrees
Space group P2_1 (No. 4)
Symmetry-distinct sites (fractional):
Cs 0.173 0.000 0.175
Ce 0.297 0.166 0.697
P 0.145 0.540 0.542
P 0.194 0.590 0.227
P 0.418 0.389 0.073
P 0.440 0.774 0.624
O 0.007 0.133 0.818
O 0.041 0.111 0.492
O 0.163 0.405 0.634
O 0.222 0.506 0.388
O 0.228 0.461 0.115
O 0.288 0.652 0.634
O 0.344 0.700 0.233
O 0.351 0.918 0.593
O 0.359 0.316 0.925
O 0.423 0.220 0.470
O 0.426 0.996 0.908
O 0.458 0.265 0.200


CsCeS2: relaxed, PBE.

Values from the calculation:
The calculation puts the corrected total energy (MP2020 scheme) at -5.78 eV per atom. Its density is 4.38 g cm⁻³. The energy comes out at -5.53 eV per atom.

Cell lengths 4.2791, 4.2791, 24.1996 Å; angles 90.00, 90.00, 120.00 degrees
Space group R-3m (No. 166, hexagonal axes)
Symmetry-distinct sites (fractional):
Cs 0.0000 0.0000 0.0000
Ce 0.0000 0.0000 0.5000
S 0.0000 0.0000 0.2283


CeCu2: relaxed, PBE.

Values from the calculation:
Its density is 8.07 g cm⁻³. The energy comes out at -4.89 eV per atom.

Cell lengths 4.396, 6.643, 7.536 Å; angles 90.00, 90.00, 90.00 degrees
Space group Imma (No. 74)
Symmetry-distinct sites (fractional):
Ce 0.000 0.250 0.024
Cu 0.000 0.035 0.666


CeCu5: relaxed, PBE.